Input =
- - -
Computed, not measured: 2 unconnected molecules or ions with the total composition C2H5NO3S in a non-equilibrium geometry, with ωB97M-V with the def2-TZVPD basis set.

## Properties
highest occupied orbital energy: -9.538 eV
Kohn-Sham gap: 8.72 eV

The geometry in XYZ format:
```
12
C2H5NO3S, DFT ωB97M-V with the def2-TZVPD basis set
C -0.595 1.132 1.027
C -1.534 0.330 1.408
N 1.157 -0.832 -1.342
O 0.297 -3.164 -1.649
O -0.424 1.585 -0.265
O 2.249 -0.096 -0.871
S 1.361 -2.264 -1.917
H -1.233 1.238 -0.802
H -0.006 1.775 1.593
H -1.853 -0.499 0.925
H -1.432 -0.007 2.440
H 2.012 0.802 -0.547
```

Computed, not measured: 2 unconnected molecules or ions with the total composition C5H11NO in a non-equilibrium geometry, with ωB97M-V with the def2-TZVPD basis set.

## Properties
highest occupied orbital energy: -8.126 eV
Kohn-Sham gap: 9.02 eV

The geometry in XYZ format:
```
18
C5H11NO, DFT ωB97M-V with the def2-TZVPD basis set
C 1.992 -1.178 -0.315
N -0.556 -1.673 1.081
C 0.179 -0.506 1.332
C 1.274 -0.213 0.628
C 0.013 0.808 3.383
C -0.452 0.556 2.161
H 1.944 -2.207 0.070
H 3.050 -0.985 -0.446
H 1.367 -1.146 -1.217
H -0.101 -2.244 0.406
H -0.955 -2.157 1.867
H 1.944 0.635 0.714
H 0.911 0.330 3.727
H -0.468 1.606 3.936
H -1.216 1.104 1.631
H -2.122 1.173 -6.443
H -2.152 2.077 -5.299
O -1.979 2.081 -6.236
```

Computed, not measured: 2 unconnected molecules or ions with the total composition C2H3BrFNO2 in a non-equilibrium geometry, with ωB97M-V with the def2-TZVPD basis set.

## Properties
highest occupied orbital energy (spin up / spin down): -8.589 / -9.495 eV
Kohn-Sham gap (spin up / spin down): 7.81 / 9.25 eV

The geometry in XYZ format:
```
10
C2H3BrFNO2, DFT ωB97M-V with the def2-TZVPD basis set
C -0.815 1.029 0.470
C -0.145 0.312 -0.656
N 0.964 -1.770 0.153
O 0.267 -2.578 0.594
O 2.103 -1.643 -0.025
F -0.918 -0.187 -1.668
Br 1.505 1.031 -1.126
H -0.111 1.410 1.137
H -1.301 1.952 0.284
H -1.549 0.445 0.838
```

Computed, not measured: 2 unconnected molecules or ions with the total composition C3H5NO2 in a non-equilibrium geometry, with ωB97M-V with the def2-TZVPD basis set.

## Properties
highest occupied orbital energy (spin up / spin down): -7.379 / -7.853 eV
Kohn-Sham gap (spin up / spin down): 6.70 / 6.95 eV

The geometry in XYZ format:
```
11
C3H5NO2, DFT ωB97M-V with the def2-TZVPD basis set
C -0.035 -1.626 -1.002
C -0.235 -1.196 0.246
C -0.339 0.193 0.570
N 1.369 1.884 1.059
O -0.732 1.069 -0.391
O 0.962 2.699 0.306
H 0.093 -2.640 -1.462
H 0.161 -0.914 -1.810
H -0.276 -1.727 1.218
H -0.695 0.370 1.553
H -0.272 1.889 -0.287
```

Computed, not measured: a molecular structure, C2H27O12V in a non-equilibrium geometry, with ωB97M-V with the def2-TZVPD basis set.

## Properties
expectation value of S²: 3.76
spin multiplicity: 4
highest occupied orbital energy (spin up / spin down): -12.624 / -12.848 eV
total charge: +1
Kohn-Sham gap (spin up / spin down): 7.48 / 7.68 eV

The geometry in XYZ format:
```
42
C2H27O12V, DFT ωB97M-V with the def2-TZVPD basis set
V -2.363 -3.348 -0.895
C -0.232 0.410 0.272
C -1.206 -0.738 0.357
O -0.913 -1.940 -0.310
H -0.244 0.823 -0.734
H 0.778 0.152 0.587
H -0.618 1.147 0.973
H -2.181 -0.353 -0.009
H -1.420 -0.985 1.408
O 2.744 1.093 2.778
H 3.002 0.581 1.996
H 3.336 1.851 2.782
O -3.884 -2.577 0.426
H -4.639 -3.175 0.538
H -3.896 -2.009 1.211
O -1.242 1.839 -3.054
H -0.939 2.491 -3.696
H -1.274 2.321 -2.215
O 0.208 -0.869 -2.882
H -0.062 0.049 -3.035
H 0.035 -1.012 -1.938
O 1.999 -2.719 -0.192
H 2.499 -1.909 -0.010
H 1.080 -2.432 -0.287
O -2.851 -1.924 -2.425
H -3.581 -2.010 -3.052
H -2.484 -1.034 -2.562
O 0.111 3.698 0.058
H 0.232 3.734 1.011
H 0.900 3.236 -0.279
O 3.627 -0.377 0.547
H 4.286 -0.919 1.005
H 3.978 -0.270 -0.346
O 1.961 2.298 -1.344
H 2.134 2.918 -2.063
H 1.960 1.430 -1.764
O -1.454 2.144 3.504
H -0.838 2.870 3.648
H -0.965 1.509 2.971
O 0.809 -1.905 2.721
H 0.177 -2.454 2.262
H 1.427 -1.636 2.033
```
- - -
Assignment =
Could you reproduce everything earlier on without additions?
Written answer =
Computed, not measured: 2 unconnected molecules or ions with the total composition C2H5NO3S in a non-equilibrium geometry, with ωB97M-V with the def2-TZVPD basis set.

## Properties
highest occupied orbital energy: -9.538 eV
Kohn-Sham gap: 8.72 eV

The geometry in XYZ format:
```
12
C2H5NO3S, DFT ωB97M-V with the def2-TZVPD basis set
C -0.595 1.132 1.027
C -1.534 0.330 1.408
N 1.157 -0.832 -1.342
O 0.297 -3.164 -1.649
O -0.424 1.585 -0.265
O 2.249 -0.096 -0.871
S 1.361 -2.264 -1.917
H -1.233 1.238 -0.802
H -0.006 1.775 1.593
H -1.853 -0.499 0.925
H -1.432 -0.007 2.440
H 2.012 0.802 -0.547
```

Computed, not measured: 2 unconnected molecules or ions with the total composition C5H11NO in a non-equilibrium geometry, with ωB97M-V with the def2-TZVPD basis set.

## Properties
highest occupied orbital energy: -8.126 eV
Kohn-Sham gap: 9.02 eV

The geometry in XYZ format:
```
18
C5H11NO, DFT ωB97M-V with the def2-TZVPD basis set
C 1.992 -1.178 -0.315
N -0.556 -1.673 1.081
C 0.179 -0.506 1.332
C 1.274 -0.213 0.628
C 0.013 0.808 3.383
C -0.452 0.556 2.161
H 1.944 -2.207 0.070
H 3.050 -0.985 -0.446
H 1.367 -1.146 -1.217
H -0.101 -2.244 0.406
H -0.955 -2.157 1.867
H 1.944 0.635 0.714
H 0.911 0.330 3.727
H -0.468 1.606 3.936
H -1.216 1.104 1.631
H -2.122 1.173 -6.443
H -2.152 2.077 -5.299
O -1.979 2.081 -6.236
```

Computed, not measured: 2 unconnected molecules or ions with the total composition C2H3BrFNO2 in a non-equilibrium geometry, with ωB97M-V with the def2-TZVPD basis set.

## Properties
highest occupied orbital energy (spin up / spin down): -8.589 / -9.495 eV
Kohn-Sham gap (spin up / spin down): 7.81 / 9.25 eV

The geometry in XYZ format:
```
10
C2H3BrFNO2, DFT ωB97M-V with the def2-TZVPD basis set
C -0.815 1.029 0.470
C -0.145 0.312 -0.656
N 0.964 -1.770 0.153
O 0.267 -2.578 0.594
O 2.103 -1.643 -0.025
F -0.918 -0.187 -1.668
Br 1.505 1.031 -1.126
H -0.111 1.410 1.137
H -1.301 1.952 0.284
H -1.549 0.445 0.838
```

Computed, not measured: 2 unconnected molecules or ions with the total composition C3H5NO2 in a non-equilibrium geometry, with ωB97M-V with the def2-TZVPD basis set.

## Properties
highest occupied orbital energy (spin up / spin down): -7.379 / -7.853 eV
Kohn-Sham gap (spin up / spin down): 6.70 / 6.95 eV

The geometry in XYZ format:
```
11
C3H5NO2, DFT ωB97M-V with the def2-TZVPD basis set
C -0.035 -1.626 -1.002
C -0.235 -1.196 0.246
C -0.339 0.193 0.570
N 1.369 1.884 1.059
O -0.732 1.069 -0.391
O 0.962 2.699 0.306
H 0.093 -2.640 -1.462
H 0.161 -0.914 -1.810
H -0.276 -1.727 1.218
H -0.695 0.370 1.553
H -0.272 1.889 -0.287
```

Computed, not measured: a molecular structure, C2H27O12V in a non-equilibrium geometry, with ωB97M-V with the def2-TZVPD basis set.

## Properties
expectation value of S²: 3.76
spin multiplicity: 4
highest occupied orbital energy (spin up / spin down): -12.624 / -12.848 eV
total charge: +1
Kohn-Sham gap (spin up / spin down): 7.48 / 7.68 eV

The geometry in XYZ format:
```
42
C2H27O12V, DFT ωB97M-V with the def2-TZVPD basis set
V -2.363 -3.348 -0.895
C -0.232 0.410 0.272
C -1.206 -0.738 0.357
O -0.913 -1.940 -0.310
H -0.244 0.823 -0.734
H 0.778 0.152 0.587
H -0.618 1.147 0.973
H -2.181 -0.353 -0.009
H -1.420 -0.985 1.408
O 2.744 1.093 2.778
H 3.002 0.581 1.996
H 3.336 1.851 2.782
O -3.884 -2.577 0.426
H -4.639 -3.175 0.538
H -3.896 -2.009 1.211
O -1.242 1.839 -3.054
H -0.939 2.491 -3.696
H -1.274 2.321 -2.215
O 0.208 -0.869 -2.882
H -0.062 0.049 -3.035
H 0.035 -1.012 -1.938
O 1.999 -2.719 -0.192
H 2.499 -1.909 -0.010
H 1.080 -2.432 -0.287
O -2.851 -1.924 -2.425
H -3.581 -2.010 -3.052
H -2.484 -1.034 -2.562
O 0.111 3.698 0.058
H 0.232 3.734 1.011
H 0.900 3.236 -0.279
O 3.627 -0.377 0.547
H 4.286 -0.919 1.005
H 3.978 -0.270 -0.346
O 1.961 2.298 -1.344
H 2.134 2.918 -2.063
H 1.960 1.430 -1.764
O -1.454 2.144 3.504
H -0.838 2.870 3.648
H -0.965 1.509 2.971
O 0.809 -1.905 2.721
H 0.177 -2.454 2.262
H 1.427 -1.636 2.033
```